
The Life of a Pond


On the margin of the lake where the feeder streams converge are a string of beaver ponds like tourmaline jewels. We paddle softly as we approach, portage neatly over the dam. We hardly notice its intricate web of mud and sticks, how with a minimum of materials it holds back the current and flattens it into a pool. We're not here to appreciate beavers (they're so secretive we rarely see them). We've come to the beaver ponds on this spring day to see ducks.

The trees sticking up above the water are just stumps. Reeds and marshgrasses make a mazy jungle, cut through by beaver channels and the old course of the stream. We punt with our paddles submerged, poling on the mucky bottom, portage another low dam. Red-winged blackbirds sing upp-sa-lee from the tips of cattails. The whistle of wings from behind—we whip our heads around to see a female wood duck skedaddle down the lake. A dead tree near the edge of the pond has a prominent hole that could be her nest. A rustle in the reeds—the dark bulk materializes into a goose, her head low and snaked along the water. A little weight on the paddle and our canoe glides into full sight. The goose is motionless, thinking herself unseen behind a tussock. We avert our gaze, push past, and then, when we're almost around the bend, look back: yes, she's tight on her nest, there along the streambank. We feel a little shiver, a frisson of pleasure, to have snuck past a sitting goose, to have disturbed nothing, yet seen so much.

Beaver ponds are fine places for waterfowl, a recent study funded by the Pennsylvania Game Commission and the Penn State Cooperative Wetlands Center has confirmed.

"The Game Commission was particularly interested in waterfowl broods—mothers and their chicks," says Diann Prosser, a graduate student in wildlife ecology who with Robert P. Brooks, professor of wildlife and wetlands, investigated beaver pond succession—the stages a pond goes through during its life span.

Although the last native beaver in the state was trapped in 1912, the familiar paddle-tailed rodents were reintroduced in 1917. Today there are 32,000 beaver, the Game Commission estimates, and, according to Prosser, 6,500 beaver ponds.

Beaver ponds are active for about 30 years. The first stage (which Prosser calls "new active") begins when a stream is dammed and a pond forms. The trees and bushes, their roots drowned, give shade and leafy cover. Eventually they die and rot (or are cut down and eaten, depending on their size and species). Then the beavers must travel further afield to forage, and the dam is widened and the pond enlarged, during this "old active" stage. Trunks and stumps dot the pond, but few shade trees remain except on the edges. The pond is carved with channels, a mix of open water and shrubby hummocks. After the beavers leave the "abandonment" stage—the dam eventually breaks and the water subsides. Grasses and shrubs recolonize the pondflats, and slowly it returns to woodland.

Prosser and Brooks surveyed beaver ponds in all three stages, looking not for beaver but for birds. They found all six of Pennsylvania's common waterfowl breeding on beaver ponds: Canada goose, wood duck, greenwinged teal, American black duck, hooded merganser, and mallard. "New active" ponds and "old active" ponds produced the most waterfowl. Geese seemed to prefer the older, more open ponds; while wood duck, hooded merganser, and black duck liked newer ponds with more cover.

Marsh and song birds also frequented beaver ponds. The American bittern and Virginia rail, both secretive waders, were found in older ponds, as were the alder flycatcher and redwinged blackbird. The Louisiana waterthrush and Acadian flycatcher visited active ponds; the swamp sparrow, common yellowthroat, and veery lived in all three pond habitats.

"A beaver pair's goal in building a dam is to create a pond where they can build a lodge, hide from predators in the water, raise offspring, and store food for the winter," says Prosser. "In the process, they are creating a variety of wetland habitat for waterfowl and other birds."

Diann Prosser received her master's degree in ecology in August 1998. Robert P. Brooks, Ph.D., is professor of wildlife and wetlands, School of Forest Resources, College of Agricultural Sciences, 301 Forest Resource Lab, University Park, PA 16802; 814-863-1596; Their research was funded by the Pennsylvania Game Commission and the Penn State Cooperative Wetlands Center. Reported by A'ndrea Elyse Messer.

(These records of crystals were left in the page by mistake)
-- begin --
[1]
# ZnWI2 (GGA-PBE, relaxed)
# magnetization: 0.0 μB/cell
# formation energy (no corrections): 4.4 eV per formula unit
# crystal system: cubic
# space group: Fm-3m
data_ZnWI2
_cell_length_a 4.941
_cell_length_b 4.941
_cell_length_c 4.941
_cell_angle_alpha 60.00
_cell_angle_beta 60.00
_cell_angle_gamma 60.00
_space_group_name_H-M_alt 'P 1'
_space_group_IT_number 1
loop_
_space_group_symop_operation_xyz
'x,y,z'
loop_
_atom_site_label
_atom_site_type_symbol
_atom_site_fract_x
_atom_site_fract_y
_atom_site_fract_z
Zn1 Zn 0.000 0.000 0.000
W1 W 0.500 0.500 0.500
I1 I 0.250 0.250 0.250
I2 I 0.750 0.750 0.750

---

[2]
# Zn3WI (GGA-PBE, relaxed)
# magnetization: 3.5 μB/cell
# formation energy (no corrections): 5.2 eV per formula unit
# crystal system: cubic
# space group: Pm-3m
data_Zn3WI
_cell_length_a 5.202
_cell_length_b 5.202
_cell_length_c 5.202
_cell_angle_alpha 90.00
_cell_angle_beta 90.00
_cell_angle_gamma 90.00
_space_group_name_H-M_alt 'P 1'
_space_group_IT_number 1
loop_
_space_group_symop_operation_xyz
'x,y,z'
loop_
_atom_site_label
_atom_site_type_symbol
_atom_site_fract_x
_atom_site_fract_y
_atom_site_fract_z
Zn1 Zn 0.000 0.000 0.500
Zn2 Zn 0.000 0.500 0.000
Zn3 Zn 0.500 0.000 0.000
W1 W 0.000 0.000 0.000
I1 I 0.500 0.500 0.500

---

[3]
# ZnWI3 (GGA-PBE, relaxed)
# magnetization: 3.0 μB/cell
# formation energy (no corrections): 3.0 eV per formula unit
# crystal system: cubic
# space group: Pm-3m
data_ZnWI3
_cell_length_a 5.643
_cell_length_b 5.643
_cell_length_c 5.643
_cell_angle_alpha 90.00
_cell_angle_beta 90.00
_cell_angle_gamma 90.00
_space_group_name_H-M_alt 'P 1'
_space_group_IT_number 1
loop_
_space_group_symop_operation_xyz
'x,y,z'
loop_
_atom_site_label
_atom_site_type_symbol
_atom_site_fract_x
_atom_site_fract_y
_atom_site_fract_z
Zn1 Zn 0.000 0.000 0.000
W1 W 0.500 0.500 0.500
I1 I 0.000 0.500 0.500
I2 I 0.500 0.000 0.500
I3 I 0.500 0.500 0.000

~~~~~

1.
Cs2AsSe2 | PBE | optimized geometry

Formation energy (no corrections), meV per atom: -784

Cell and atoms, written as CIF:
```
data_Cs2AsSe2
_chemical_formula_sum 'Cs8 As4 Se8'
_cell_length_a 10.695
_cell_length_b 9.530
_cell_length_c 8.871
_cell_angle_alpha 90.00
_cell_angle_beta 104.87
_cell_angle_gamma 90.00
_space_group_name_H-M_alt 'P 1'
_space_group_IT_number 1
_space_group_name_Hall 'P 1'
loop_
_atom_site_label
_atom_site_type_symbol
_atom_site_fract_x
_atom_site_fract_y
_atom_site_fract_z
Cs1 Cs 0.070 0.232 0.044
Cs2 Cs 0.070 0.268 0.544
Cs3 Cs 0.372 0.691 0.005
Cs4 Cs 0.372 0.809 0.505
Cs5 Cs 0.628 0.191 0.495
Cs6 Cs 0.628 0.309 0.995
Cs7 Cs 0.930 0.732 0.456
Cs8 Cs 0.930 0.768 0.956
As1 As 0.329 0.094 0.872
As2 As 0.329 0.406 0.372
As3 As 0.671 0.594 0.628
As4 As 0.671 0.906 0.128
Se1 Se 0.155 0.567 0.256
Se2 Se 0.155 0.933 0.756
Se3 Se 0.398 0.057 0.141
Se4 Se 0.398 0.443 0.641
Se5 Se 0.602 0.557 0.359
Se6 Se 0.602 0.943 0.859
Se7 Se 0.845 0.067 0.244
Se8 Se 0.845 0.433 0.744
```

=====

2.
Tl2TcCl5O | PBE | optimized geometry
-- stop --

Last Updated May 1, 1999